Category "wheat"

Wheat sourdough starter - "swamp" smell

Some time ago I have grown my own sourdough starter fed with 50/50 wholemeal rye & all-purpose wheat flour (with 100% hydration). It turned out great, it no

How to eat wheat as a staple?

I'm wanting to stop having rice as my staple and try something else. I was thinking to try wheat however I never heard that people eat pure wheat daily like th

Can I substitute...whole wheat for all-purpose flour for baked goods?

If we do any kind substitution in between whole wheat and all purpose flour, then what will be the effects on baked goods?

Which product for white chapatis?

I want to make some chapatis with water and wheat flour only. there should preferably be no mineral fortification or added ingredients and it has to be white a

Does microwaving fully cook chapatis?

I saw a video on how to make chapatis and someone made a comment saying you must allow chapatis to fully inflate because it is the steam inside them that cooks

What is the simplest way to cook wheat flour with salt distributed through the wheat?

I only want to use 3 ingredients wheat flour, salt and water and I want to ensure the salt is distributed throughout the wheat and not just the surface. I also

No Knead Bread comes out a tad gummy only in the center

I’m using 200g Bread flour, 50g Whole Wheat flour , 50g All-purpose flour, and 60g Rye. I add 2.25tsp of yeast, 2tsp sea salt, and 1.5cups filtered tap w

What does the ash content of broken wheat really mean?

I purchased some broken durum wheat (also called lapsi or daliya in India) to make upma and was shocked to find that it contained ash. It seemed silly that

Making pita more chewy/ rubbery

I make 100% whole wheat pita bread often. I use whole wheat flour, yeast, salt water and a touch of honey to feed the yeast. I would like my pita to be more che

Why does homemade pasta using wholemeal flour break easily as compared to all purpose flour?

Why does wholemeal pasta break more easily than pasta that is made from all-purpose flour?

Common term for "roughly-grind Semolina" (as used to make couscous)

A course common in all North-African coast cuisines is Couscous, which is made of "roughly-grind Semolina" lightly cooked or steamed with a bit of water and sal

How to remove husk from grain?

I need help to remove husk from grain - specifically spent grain from the beer production. Does anyone have any kind of experience with that?

# Inserted here: data records
<<<
(1)
This record from Materials Project describes a relaxed CeZnPt crystal. The functional is r²SCAN.

abc: 4.3053 8.1358 7.0696
angles: 90.00 90.01 90.00
Space group P2_1/c (No. 14)
Symmetry-distinct sites (fractional):
Ce  0.2488  0.1923  0.4641 x4
Zn  0.2499  0.5662  0.3552 x4
Pt  0.2504  0.6136  0.7379 x4

Summary:
**Formation enthalpy at 0 K**: -277.0 kJ/mol of formula units

(2)
This record from Materials Project describes a relaxed Tb5Ga3 crystal. The functional is r²SCAN.

abc: 7.6445 7.6445 14.1455
angles: 90.00 90.00 90.00
Space group I4/mcm (No. 140)
Symmetry-distinct sites (fractional):
Tb  0.0000  0.0000  0.0000 x4
Tb  0.1705  0.3295  0.1473 x16
Ga  0.0000  0.0000  0.2500 x4
Ga  0.1206  0.3794  0.5000 x8

Summary:
**Formation enthalpy at 0 K**: -453.6 kJ/mol of formula units

(3)
This record from Materials Project describes a relaxed SnTe3O8 crystal. The functional is r²SCAN.

abc: 11.2220 11.2220 11.2220
angles: 90.00 90.00 90.00
Space group Ia-3 (No. 206)
Symmetry-distinct sites (fractional):
Sn  0.2500  0.2500  0.2500 x8
Te  0.0000  0.2500  0.0459 x24
O  0.0837  0.0837  0.0837 x16
O  0.1109  0.1823  0.6522 x48

Summary:
**Formation enthalpy at 0 K**: -1520.4 kJ/mol of formula units

(4)
This record from Materials Project describes a relaxed MgIn crystal. The functional is r²SCAN.

abc: 3.2157 3.2157 4.3785
angles: 90.00 90.00 90.00
Space group P4/mmm (No. 123)
Symmetry-distinct sites (fractional):
Mg  0.0000  0.0000  0.0000 x1
In  0.5000  0.5000  0.5000 x1

Summary:
**Formation enthalpy at 0 K**: -27.3 kJ/mol of formula units

(5)
This record from Materials Project describes a relaxed Ho6Fe23 crystal. The functional is r²SCAN.

abc: 12.0334 12.0334 12.0334
angles: 90.00 90.00 90.00
Space group Fm-3m (No. 225)
Symmetry-distinct sites (fractional):
Ho  0.0000  0.0000  0.2101 x24
Fe  0.0000  0.0000  0.5000 x4
Fe  0.0000  0.2500  0.2500 x24
Fe  0.1222  0.1222  0.3778 x32
Fe  0.1757  0.1757  0.1757 x32

Summary:
**Formation enthalpy at 0 K**: -107.0 kJ/mol of formula units

(6)
This record from Materials Project describes a relaxed NbGaOs2 crystal. The functional is r²SCAN.

abc: 6.2253 6.2253 6.2253
angles: 90.00 90.00 90.00
Space group Fm-3m (No. 225)
Symmetry-distinct sites (fractional):
Nb  0.0000  0.0000  0.0000 x4
Ga  0.0000  0.0000  0.5000 x4
Os  0.2500  0.2500  0.2500 x8

Summary:
**Formation enthalpy at 0 K**: -117.7 kJ/mol of formula units

Number 1: calculated total energy -31.3699 eV per atom. Number 2: calculated total energy -24.3952 eV per atom. Number 3: calculated total energy -13.7113 eV per atom. Number 4: calculated total energy -13.5153 eV per atom. Number 5: calculated total energy -18.2726 eV per atom. Number 6: calculated total energy -35.8419 eV per atom.

=====

Record 1
>>>
# Here the text continues

Reconstitute all purpose wheat flour from starch and gluten

Due to the recent events (COVID-19) the groceries stores' shelves are totally wiped of flour of any grains. I have not found flour for roughly a week. Now the s

What is fine semolina? (For baghrir recipe)

Background: I would like to cook baghrir. There are many recipes, all very similar: put fine semolina, warm water, yeast, sugar, salt in a blender and blend it

What can I do with whole wheat pastry dough? [closed]

I used soft whole wheat flour to make pasta dough, following the recommendation here that soft wheat flour is a traditional pasta ingredient.

Why does boiling water make dough taste sweet?

I was experimenting on dough for chapathi, which is basically wheat tortilla. This is how I normally prepare it, Mix whole wheat flour and salt with room tap wa

How to (cheaply) grind wheat berries for home bread making?

I've never made wheat flour before, though I bake bread regularly. I'm considering using my KitchenAid blender to grind my hard white wheat berries, but am worr

Are sprouting wheat berries safe?

I soaked some wheat berries for a bit more than 24 hours and now some white stuff comes out of it. Is it safe if I boil and eat it as I usually do?

Identifying bulgur from cracked wheat

In an excess of zeal to remain tidy (or to get tidy, rather), I discarded the bag and can no longer recall whether it was bulgur (bulgar, bulghur, ..) or cracke